Chennai saw the flood of the century in 2015. Four years on, in 2019, the city came to a standstill as the main reservoirs ran dry and Chennai hit ‘Day Zero’. The city’s fraught relationship with water has affected the lives of millions with no permanent solution in sight.
In an interview with Citizen Matters Chennai, Dr S Janakarajan, the President of the South Asia Consortium for Interdisciplinary Water Resources Studies (SaciWATERs), Hyderabad and former Professor and Director at Madras Institute of Development Studies (MIDS), unpacks the issues with water management in Chennai that has led to both flooding and drought and suggests better ways to handle the city’s water resources.

On floods and drought in Chennai
Chennai saw the worst floods in 2015 and ‘Day Zero’ in 2019. How are these two incidents connected and what is the lesson from these two incidents that Chennai has to learn?
Before actually going into that question, it is important for us to understand the definition of floods. The common perception is that any water stagnation – whether inside one’s compound wall or on streets and in a low-lying land – is considered a flood.
Hydrologically, flood is a flow concept. The flood would mean overflow of water leading to submergence; Overflow may occur from water bodies such as rivers and streams. Basically, floods occur when the precipitation exceeds the carrying capacity of rivers and streams. Floods can also occur from the sea – coastal flooding – reverse flow through backwater canals.
Floods can be categorised into two types, namely, fluvial (when the water overflows the riverbed as well as the floodplains) and pluvial (the one seen on the streets caused by inundation which could be caused by various anthropogenic reasons).
As far as Chennai is concerned, there is a third type of flood called coastal floods (caused due to high-speed winds, sea currents, growing activities along the coast and coastal erosion). Coastal flooding can also become more dangerous because of the climate change-induced sea-level rise. We should first be in a position to differentiate these three types of floods to plan the mitigation measures.
Read more: Urban floods: Why some areas in Chennai are worse hit than others
We all remember the 2015 floods since it has resulted in huge damage to lives and livelihoods, properties and so on. ASSOCHAM estimated the total loss due to the 2015 Chennai floods to the tune of Rs 20,000 crores. Compared to the 2005 Chennai floods, the 2015 floods are still remembered because there was a very heavy downpour for two days. The occurrence of rainfall on a single day exceeded what the city could carry naturally.
A rapid degree of urbanization is the key. As far as urban flooding is concerned, the impact of flooding will be felt more even when there is less rainfall due to swift urbanisation, resulting in high population density. Such rapid urbanization has resulted in the loss of pervious surface in most of the areas in Chennai. As a result, the per capita drainage space is becoming less with every passing day and the surface runoff has increased to over 90% in Chennai.
Floods as an issue should not be treated in isolation. We should understand the relationship between floods and droughts. An integrated perspective of the water management system is the need of the hour. It simply means integrating flood and drought with a view to mitigating both floods as well as droughts. When you take measures to mitigate floods, it should automatically take care of the drought and vice versa.
Water storage capacity in Chennai
The 2019 water shortage is said to have occurred as the reservoirs ran dry. Do you think the existing reservoirs have sufficient storage capacity for the city’s current and future population? How can the capacity of the existing reservoirs be increased?
The fundamentals of Chennai should be understood first. Very often when we speak about the water crisis in Chennai, we discuss reservoir capacity. However, there is little discussion on the rainfall pattern and the rainfall conditions.
When you look at Chennai’s rainfall data for the past 50 years, the city has received less than 1,000 mm of annual rainfall only for around 10 years. There was more than 1,000 mm of annual rainfall during the rest of the years. When we include the rainfall that is received in the neighbouring districts that fall under the Chennai Metropolitan Area (CMA), the average annual rainfall will be around 1,400 mm.
Have we made efforts to save this rainfall? Even when there is continuous rain for one full day, people are panicking that their homes will be flooded. The problem precisely lies here.
The key issue is how to save/conserve water in such extreme weather conditions. When we think about increasing the capacity of the reservoirs, we only think about increasing the capacity of the existing major reservoirs like Chembarambakkam, Poondi, Red Hills and Cholavaram. Of course, there is a huge possibility of increasing the capacity of these reservoirs by desilting, dredging and deepening.
• These quantum chemistry results were left in the text by mistake:
/*
No. 1
Entry from the Open Molecules 2025 dataset: a cluster of 2 separate species, FH2O2P in total (ωB97M-V/def2-TZVPD).

```
6
Properties=species:S:1:pos:R:3:forces:R:3:lowdin_charge:R:1
H -1.01096 1.29498 -0.50704 -0.9 0.1 0.4 0.0706
O -1.90378 1.17499 -0.08703 0.8 -1.0 -0.3 -0.3366
H 1.15332 -1.74540 -0.02398 1.4 2.1 0.4 0.0940
F 1.79722 -1.03345 0.17255 -1.4 -1.9 -0.4 -0.1460
O -0.93399 -1.15457 -0.35734 -0.9 0.3 0.4 -0.4876
P -2.11224 -0.42576 0.17650 0.9 0.4 -0.5 0.8056
```
Forces are in eV/Å.

The LUMO energy is -0.019 Ha. Its net charge is 0. The SMILES is O=PO.F. The spin multiplicity is 1. The calculation puts the frontier orbital gap at 10.718 eV. Its total energy is -16134.821 eV. As for the molecular weight: 84.0 g mol⁻¹. The value obtained for the energy relative to the best compared isomer or geometry (same formula, charge and spin) is 99.14 kJ/mol.

No. 2
Entry from the Open Molecules 2025 dataset: an isolated molecule of FH3N2O2S (ωB97M-V/def2-TZVPD).

```
9
Properties=species:S:1:pos:R:3:forces:R:3:lowdin_charge:R:1
H 1.32311 0.51537 -1.56376 -1.2 0.4 1.5 0.1142
H -0.57935 -1.29946 1.82497 2.1 2.1 -3.3 0.2098
N 0.10155 -1.03501 0.88495 -2.2 0.9 5.3 -0.1744
O -0.99049 1.26915 0.86127 0.2 -0.1 0.5 -0.2812
N 0.87663 0.91633 -0.69653 -0.3 -3.0 -1.5 -0.0724
H 1.06136 1.86122 -0.55934 0.0 1.7 0.6 0.0395
S -0.53834 0.29793 -0.07089 0.8 -0.9 -0.9 0.5617
O -1.40411 -0.23706 -1.07366 0.6 0.1 0.1 -0.2884
F 0.14964 -2.28848 0.39299 0.0 -1.3 -2.2 -0.1088
```
Forces are in eV/Å.

The LUMO energy is 0.021 Ha. Its net charge is 0. The SMILES is NS(=O)(=O)NF. The spin multiplicity is 1. The calculation puts the frontier orbital gap at 10.940 eV. Its total energy is -20672.951 eV. As for the molecular weight: 114.1 g mol⁻¹. The value obtained for the energy relative to the best compared isomer or geometry (same formula, charge and spin) is 212.40 kJ/mol.

No. 3
Entry from the Open Molecules 2025 dataset: a cluster of 2 separate species, FH3NOPS in total (ωB97M-V/def2-TZVPD).

```
8
Properties=species:S:1:pos:R:3:forces:R:3:lowdin_charge:R:1
H 1.98950 -0.59052 0.48731 -0.9 -2.2 -0.5 0.0662
H 1.87134 -2.27695 0.42153 -0.7 2.8 -0.5 0.0806
O 1.44974 -1.38171 0.15097 1.6 -0.5 1.0 -0.1549
P -1.30823 0.76532 0.02269 -0.4 -1.7 1.0 0.2659
F -0.85231 0.18253 1.47599 -1.2 1.1 -1.8 -0.2642
H 0.04826 1.52560 -1.47979 -0.3 0.5 -0.3 0.0001
N -0.11859 1.57240 -0.48609 0.0 -0.6 0.3 -0.2127
S -3.07972 0.20332 -0.59260 1.9 0.6 0.9 0.2189
```
Forces are in eV/Å.

The LUMO energy is -0.016 Ha. Its net charge is 0. The spin multiplicity is 1. The calculation puts the frontier orbital gap at 9.586 eV. Its total energy is -26427.989 eV. As for the molecular weight: 115.1 g mol⁻¹. The value obtained for the energy relative to the best compared isomer or geometry (same formula, charge and spin) is 269.82 kJ/mol.

No. 4
Entry from the Open Molecules 2025 dataset: the ion FH3O3P with charge +1 (ωB97M-V/def2-TZVPD).

```
8
*/
However, in addition to that, we do have a large number of eris / tanks. According to the available records, there are over 3,600 waterbodies in the adjoining three districts of Tiruvallur, Kancheepuram and Chengalpattu. Each of these tanks is a watershed and hydrologically well connected.
Why is that we are not taking measures to desilt and deepen these tanks so that when there is heavy rainfall, these tanks can automatically get filled to save water? When water during rainfall months gets stored in these upstream waterbodies, the flow of water (floods) to the downstream will be reduced considerably.
Read more: City of 1000 Tanks unveils vision for a water-rich Chennai
The newspaper reports suggested that during the 2015 floods around 300 thousand million cubic (TMC) feet of water were drained into the sea. Why were we unable to save at least a part of such a huge quantity of water in these upstream waterbodies? Instead, 2016 was considered a drought year!
While there is plenty of scope for increasing the capacity of the four large city reservoirs, the focus should also be put on the restoration of other smaller waterbodies to conserve water. Such a measure will help a great deal to recharge groundwater and will help to create flora – fauna and microclimate and the related life system. Most importantly, the drinking water needs of the local area can be easily met.
Given that these waterbodies once functioned in a cascade system, steps should also be taken to find the missing interlinks and restore them. This will help in saving the surplus water from one tank by naturally making it flow to the downstream tank. Besides, Chennai, being a coastal city, is linked to the upstream river basins.
There are four major rivers flowing through the city of Chennai – Arniyar – Kosasthalaiar on the north, Cooum river on the Centre and Adyar on the South. Further south, we will find the Palar River carrying flood flows during the monsoon months. Besides, the Buckingham canal flows from north to south cutting across all these rivers. This is the unique system of urban rivers that the city of Chennai is blessed with, because of which Chennai should not suffer from floods.
The predictions made by the state government say that the annual demand could gradually rise to 32 TMC ft of drinking water in the next 5 to 10 years with the projected population growth. One of the solutions proposed is the creation of new storage structures. Do you think this is practically possible given the rapid urbanisation and the role of land occupation?
Instead of creating new reservoirs, the existing thousands of water bodies should be restored to their original capacity. There are several tanks on the ECR and OMR stretches that spread across thousands of acres. If these are restored and utilised properly, they can be used to cater to the water needs of southern parts of Chennai.
Similarly, a sustainable urban drainage system, an important emerging concept, means that we should store the rainwater where it falls. Therefore, let’s not complain about water scarcity without restoring these waterbodies.
Given the fact that more than 90% of the surface in Chennai has become impervious, we should focus on creating blue-green infrastructure. As part of this, parks and playgrounds can be used as holding ponds during the monsoon months. There are also hundreds of temple tanks and small ponds that could be utilized to store water. Besides, Chennai also has Pallikarani marshland, which is covered under the Ramsar Convention. This has to be rejuvenated scientifically.
This apart, as citizens, I think we all have a shared responsibility. Rainwater that falls on our plot of land and on our rooftop is our water. This is our responsibility to conserve that water, instead of letting it pass onto the streets and contributing to inundation (floods).
Read more: Where does the water in your tap come from?
Desalination plant and rainwater harvesting in Chennai
Chennai is getting its 4th desalination plant. The desalination plants are said to solve the city’s water crisis. What are your thoughts on this?
The first and foremost question in this regard is to ask whether the city of Chennai deserves desalination plants. Desalination plants are something that one should rely on when we run out of all other options like that of the Middle Eastern countries where there is scarce rainfall.
When we have an average rainfall of around 1,400 mm in CMA, why would we need a series desalination plant?
Desalination plants are lazy solutions proposed by those who have not made sincere efforts to address Chennai’s water crisis. This apart, the desalination plants come with their demerits of being ecologically unsound. It will contribute to the destruction of the coastal ecosystem.
For instance, a desalination plant of 100 MLD sucks in seawater 20 times its capacity. When the seawater is sucked in, all the other living beings including millions fishes and eggs are sucked in. When the seawater is processed, the effluent or what’s called brine is let out, which is highly saline. If the total dissolved solids (TDS) levels of normal seawater are between 15,000 parts per million (ppm) to 20,000 ppm, the TDS levels of the brine will be between 50,000 ppm to 60,000 ppm or maybe even more.
When the brine is discharged within a distance of one to three kilometres from the shore, where the fisherfolks usually go fishing, the region becomes highly saline making the sea a ‘dead zone’. Not only will the desalination plants kill the ecosystem of the sea but also affect the livelihood of the fishermen.
While I acknowledge that the need for drinking water in Chennai has to be met, I would keep the desalination plants as the very last resort. It can be relied upon only after exploring the other options.
Read more: High TDS in water supply affects Valmiki Nagar residents
Rainwater harvesting is one of the state’s flagship projects. How effectively do you think it has been implemented over the years?
Whenever we talk about rainwater harvesting, we only talk about rainwater harvesting in individual households. While harvesting rainwater at individual levels is very important, we should not keep romanticising it.
Many educational institutions, Universities, hospitals and government buildings in Chennai have big buildings on hundreds of acres of land. Efforts should be taken to harvest rainwater in these buildings to make them more self-sufficient in order to meet their water needs.
Why should these buildings depend on metro water when they can easily be self-sufficient?
As I mentioned earlier, there are thousands of waterbodies and temple tanks in and around Chennai which are considered traditional rainwater harvesting structures. Those waterbodies should be restored to serve their purpose.
Groundwater in Chennai
Studies show the high-level concentration of heavy metals in groundwater in Chennai. How important is groundwater in solving the water crisis?
Though the Chennai Metropolitan Water Supply and Sewerage Board (CMWSSB) supplies water, over 40% of Chennai residents continue to rely on groundwater to meet their water needs. While groundwater holds such significance, it is worrisome to see that the groundwater is becoming unusable every passing day.
While industrial pollution plays a major role in groundwater contamination, recent reports show that many waterbodies in and around Chennai are filled with garbage. Some tanks have been dumped with bio-medical wastes.
To preserve the groundwater, the sources of pollution like the discharge of industrial effluents and disposal of solid and bio-medical wastes into the waterbodies should be stopped immediately.
No matter how big or small the water body is, efforts should be made to restore it. Creating and maintaining the blue-green infrastructure can only help in recharging the groundwater and diluting the contamination.
Do you think stormwater drains hamper groundwater recharge?
The problem with stormwater drains (SWDs) is that it is used for dumping sewage. As a matter of principle, SWDs should carry only stormwater during monsoon months. They are misused even in the core areas of Chennai city and more so in the adjoining area which was annexed to the Greater Chennai Corporation in 2011.
This is a huge contributor to groundwater contamination in Chennai and has the potential to become a much bigger menace. It needs to be handled very carefully and that is where the GCC and the CMWSSB have to work together to have a scientific design of the sewage system as well as the SWD system to ensure the sewage and the stormwater are carried separately.
Read more: Looking beyond stormwater drains to realise the dream of a flood-free Chennai
Packaged drinking water plays a huge role in groundwater extraction in Chennai. Do you think there are strict enforcements on these companies?
There are regulations on paper which mandate licenses for these packaged drinking water companies. As I gather, many small companies continue to operate without licenses. There are also standards for safe packaging and transportation of water.
However, we see on a daily basis that these water cans are carried in the scorching sun, while they are supposed to be transported in a sheltered vehicle. This will develop microorganisms in the water which will cause health issues, besides contributing to microplastic contamination in the water.
Further, there is no limit set by the government on the extraction of groundwater for these companies. This contributes to the depletion of groundwater. The discharge of effluents into the ground also contaminates the groundwater. The issue here is that the people got very used to these packaged water supplies.
If the government tries to bring strict enforcement on these companies, the people will protest as they end up having no other source of, what is perceived as “clean and safe water”. As a result, the government will be forced to relax the regulations. However, more attention needs to be devoted to regularising these companies.
Studies show that of every Rs 10 earned per day by a poor person Rs 1 is spent on drinking water. With access to clean drinking water being a constitutional right of every citizen, how do you think the government can intervene here to offer that?
I agree that as a matter of principle, the government should be able to supply clean and safe drinking water to everyone. But in reality, the water is neither drinkable without further processing like filtering and boiling nor is it supplied to all equally.
Recently I came across the news that an apartment complex in Chennai is spending around Rs 12,000 per day on buying tanker water. This means that they can afford to spend Rs 3.6 lakhs per month on water. Whereas, the vulnerable communities in the slum areas hardly could afford this.
Considering the cost recovery aspect for the CMWSSB, the dual rating can be considered as a solution. A base amount, which is the bare minimum, could be fixed for all. While the water can be supplied free of cost to vulnerable communities, it can be supplied at a higher rate for those who can afford it.
Meanwhile, we should also remember that the water supply infrastructure that we have at present is age-old and it needs to be completely revamped.
Solutions to improve water management in Chennai
What do you see as the solutions to Chennai’s drinking water crisis?
- Store water where it falls
- Ensure all the surface water structures/waterbodies are used to the fullest capacity – desilt, dredge and deepen water bodies in order to store excess water
- Ensure that large institutions are made self-sufficient to meet their water needs through rainwater harvesting and recycling of the used-water
- Harvest rainwater in individual houses
- Increase pervious surface or what is called lung-space
- Create more blue-green infrastructure
- Ensure that wetlands (both coastal and inland) and rivers are restored and maintained properly
- Focus on integrated water resource management.
- Rely on desalination plants only after exploring all the aforementioned options